Source >
-- begin --
No. 1
A cluster of 15 separate species, C70H210N30O15P10S5 in total in a non-equilibrium geometry, computed with the ωB97M-V functional and the def2-TZVPD basis.

Atoms and positions in Å:
O  2.75  2.66  4.17
P  4.24  2.42  4.10
N  5.24  3.63  3.39
C  6.66  3.53  3.02
C  4.80  5.02  3.48
N  4.58  0.99  3.16
C  4.46  1.10  1.70
C  4.09  -0.26  3.68
N  4.98  2.16  5.65
C  4.53  2.89  6.83
C  6.35  1.75  5.67
H  6.96  2.49  2.93
H  7.39  3.92  3.73
H  6.79  4.04  2.06
H  5.52  5.73  3.06
H  4.78  5.25  4.55
H  3.87  5.12  2.92
H  4.85  2.05  1.36
H  5.02  0.28  1.25
H  3.40  1.23  1.48
H  4.34  -0.41  4.73
H  3.00  -0.23  3.68
H  4.40  -1.14  3.11
H  3.48  2.73  7.08
H  4.92  2.40  7.73
H  4.74  3.96  6.82
H  6.50  1.09  4.82
H  6.59  1.08  6.50
H  7.08  2.55  5.56
O  0.09  4.30  -2.90
P  -0.96  4.74  -3.85
N  -1.08  6.35  -4.03
C  -2.28  7.06  -4.42
C  0.09  7.21  -3.86
N  -2.52  4.16  -3.36
C  -3.68  3.89  -4.26
C  -2.85  4.27  -1.93
N  -0.72  4.12  -5.40
C  -1.20  4.78  -6.67
C  -0.34  2.69  -5.33
H  -2.02  8.09  -4.67
H  -3.04  7.10  -3.64
H  -2.77  6.68  -5.32
H  -0.10  8.21  -4.24
H  0.89  6.77  -4.47
H  0.44  7.18  -2.83
H  -4.20  4.83  -4.48
H  -3.37  3.41  -5.18
H  -4.40  3.28  -3.70
H  -3.41  3.43  -1.52
H  -1.91  4.24  -1.37
H  -3.32  5.22  -1.67
H  -2.22  4.47  -6.90
H  -1.03  5.86  -6.70
H  -0.61  4.36  -7.49
H  -0.90  2.08  -6.04
H  -0.47  2.27  -4.33
H  0.74  2.59  -5.49
O  -5.95  1.81  -4.62
P  -6.12  0.33  -4.82
N  -6.14  -0.67  -3.43
C  -5.21  -0.20  -2.34
C  -6.65  -2.07  -3.34
N  -4.86  -0.39  -5.78
C  -3.61  0.29  -5.83
C  -4.94  -1.70  -6.44
N  -7.54  -0.08  -5.63
C  -7.71  0.31  -7.00
C  -8.82  -0.05  -4.87
H  -4.18  -0.43  -2.62
H  -5.38  -0.68  -1.38
H  -5.38  0.87  -2.24
H  -7.36  -2.12  -2.51
H  -5.83  -2.71  -3.02
H  -7.01  -2.39  -4.32
H  -3.21  0.22  -6.85
H  -3.75  1.29  -5.44
H  -2.94  -0.28  -5.19
H  -4.07  -1.91  -7.06
H  -5.11  -2.53  -5.76
H  -5.88  -1.58  -6.98
H  -8.15  1.31  -7.08
H  -6.72  0.45  -7.45
H  -8.31  -0.30  -7.68
H  -9.09  0.98  -4.65
H  -8.63  -0.53  -3.91
H  -9.62  -0.50  -5.46
O  -7.05  -2.53  2.80
P  -6.79  -1.03  2.67
N  -5.22  -0.68  2.02
C  -4.93  0.61  1.33
C  -4.05  -1.52  2.23
N  -6.69  -0.17  4.22
C  -6.77  -0.90  5.45
C  -6.14  1.17  4.31
N  -7.96  -0.25  1.74
C  -8.06  -0.53  0.34
C  -9.23  0.12  2.35
H  -4.37  0.41  0.42
H  -4.37  1.30  1.96
H  -5.87  1.06  1.03
H  -3.11  -1.00  2.40
H  -3.84  -2.32  1.52
H  -4.09  -2.07  3.17
H  -5.99  -1.66  5.46
H  -6.65  -0.28  6.34
H  -7.75  -1.38  5.45
H  -5.05  1.27  4.27
H  -6.50  1.73  3.45
H  -6.30  1.68  5.26
H  -9.11  -0.64  0.07
H  -7.60  0.23  -0.30
H  -7.50  -1.45  0.19
H  -9.00  0.69  3.25
H  -9.72  -0.82  2.60
H  -9.81  0.73  1.66
O  -0.52  -1.96  8.66
P  -0.65  -1.12  7.48
N  -0.36  -1.96  6.02
C  0.95  -2.11  5.43
C  -1.22  -3.08  5.77
N  0.41  0.29  7.43
C  1.71  0.25  8.03
C  0.06  1.61  6.95
N  -2.26  -0.51  7.45
C  -2.96  -0.03  6.36
C  -2.90  -0.23  8.71
H  1.59  -1.24  5.32
H  0.79  -2.60  4.47
H  1.57  -2.71  6.08
H  -0.82  -3.99  6.24
H  -1.22  -3.22  4.69
H  -2.23  -2.88  6.10
H  2.40  -0.32  7.41
H  2.09  1.26  8.16
H  1.55  -0.13  9.04
H  0.31  1.73  5.89
H  -1.01  1.80  7.04
H  0.53  2.36  7.58
H  -2.68  -0.55  5.44
H  -4.04  -0.17  6.47
H  -2.76  1.04  6.26
H  -2.79  0.84  8.85
H  -2.39  -0.73  9.54
H  -3.96  -0.46  8.71
O  5.50  -4.60  -6.43
P  4.10  -4.41  -6.89
N  3.22  -3.32  -5.94
C  1.80  -3.09  -6.14
C  3.88  -2.50  -4.92
N  3.20  -5.83  -6.99
C  2.67  -6.41  -5.78
C  3.42  -6.86  -8.07
N  3.89  -3.62  -8.46
C  2.64  -3.52  -9.11
C  4.81  -2.52  -8.62
H  1.64  -2.12  -6.62
H  1.26  -3.17  -5.20
H  1.47  -3.87  -6.83
H  4.85  -2.93  -4.69
H  3.33  -2.53  -3.98
H  3.93  -1.49  -5.33
H  1.93  -7.20  -5.92
H  3.56  -6.84  -5.32
H  2.26  -5.68  -5.08
H  3.87  -7.76  -7.64
H  2.49  -7.16  -8.54
H  4.15  -6.42  -8.76
H  2.82  -3.34  -10.17
H  1.99  -4.36  -8.87
H  2.13  -2.61  -8.78
H  4.66  -1.80  -7.82
H  4.51  -1.88  -9.44
H  5.80  -2.92  -8.82
O  -4.17  2.98  7.39
P  -3.50  4.29  7.39
-- stop --

Assignment >
Could you quote the lines above from the first line to the one with "3.88" character by character?

Here it is >
No. 1
A cluster of 15 separate species, C70H210N30O15P10S5 in total in a non-equilibrium geometry, computed with the ωB97M-V functional and the def2-TZVPD basis.

Atoms and positions in Å:
O  2.75  2.66  4.17
P  4.24  2.42  4.10
N  5.24  3.63  3.39
C  6.66  3.53  3.02
C  4.80  5.02  3.48
N  4.58  0.99  3.16
C  4.46  1.10  1.70
C  4.09  -0.26  3.68
N  4.98  2.16  5.65
C  4.53  2.89  6.83
C  6.35  1.75  5.67
H  6.96  2.49  2.93
H  7.39  3.92  3.73
H  6.79  4.04  2.06
H  5.52  5.73  3.06
H  4.78  5.25  4.55
H  3.87  5.12  2.92
H  4.85  2.05  1.36
H  5.02  0.28  1.25
H  3.40  1.23  1.48
H  4.34  -0.41  4.73
H  3.00  -0.23  3.68
H  4.40  -1.14  3.11
H  3.48  2.73  7.08
H  4.92  2.40  7.73
H  4.74  3.96  6.82
H  6.50  1.09  4.82
H  6.59  1.08  6.50
H  7.08  2.55  5.56
O  0.09  4.30  -2.90
P  -0.96  4.74  -3.85
N  -1.08  6.35  -4.03
C  -2.28  7.06  -4.42
C  0.09  7.21  -3.86
N  -2.52  4.16  -3.36
C  -3.68  3.89  -4.26
C  -2.85  4.27  -1.93
N  -0.72  4.12  -5.40
C  -1.20  4.78  -6.67
C  -0.34  2.69  -5.33
H  -2.02  8.09  -4.67
H  -3.04  7.10  -3.64
H  -2.77  6.68  -5.32
H  -0.10  8.21  -4.24
H  0.89  6.77  -4.47
H  0.44  7.18  -2.83
H  -4.20  4.83  -4.48
H  -3.37  3.41  -5.18
H  -4.40  3.28  -3.70
H  -3.41  3.43  -1.52
H  -1.91  4.24  -1.37
H  -3.32  5.22  -1.67
H  -2.22  4.47  -6.90
H  -1.03  5.86  -6.70
H  -0.61  4.36  -7.49
H  -0.90  2.08  -6.04
H  -0.47  2.27  -4.33
H  0.74  2.59  -5.49
O  -5.95  1.81  -4.62
P  -6.12  0.33  -4.82
N  -6.14  -0.67  -3.43
C  -5.21  -0.20  -2.34
C  -6.65  -2.07  -3.34
N  -4.86  -0.39  -5.78
C  -3.61  0.29  -5.83
C  -4.94  -1.70  -6.44
N  -7.54  -0.08  -5.63
C  -7.71  0.31  -7.00
C  -8.82  -0.05  -4.87
H  -4.18  -0.43  -2.62
H  -5.38  -0.68  -1.38
H  -5.38  0.87  -2.24
H  -7.36  -2.12  -2.51
H  -5.83  -2.71  -3.02
H  -7.01  -2.39  -4.32
H  -3.21  0.22  -6.85
H  -3.75  1.29  -5.44
H  -2.94  -0.28  -5.19
H  -4.07  -1.91  -7.06
H  -5.11  -2.53  -5.76
H  -5.88  -1.58  -6.98
H  -8.15  1.31  -7.08
H  -6.72  0.45  -7.45
H  -8.31  -0.30  -7.68
H  -9.09  0.98  -4.65
H  -8.63  -0.53  -3.91
H  -9.62  -0.50  -5.46
O  -7.05  -2.53  2.80
P  -6.79  -1.03  2.67
N  -5.22  -0.68  2.02
C  -4.93  0.61  1.33
C  -4.05  -1.52  2.23
N  -6.69  -0.17  4.22
C  -6.77  -0.90  5.45
C  -6.14  1.17  4.31
N  -7.96  -0.25  1.74
C  -8.06  -0.53  0.34
C  -9.23  0.12  2.35
H  -4.37  0.41  0.42
H  -4.37  1.30  1.96
H  -5.87  1.06  1.03
H  -3.11  -1.00  2.40
H  -3.84  -2.32  1.52
H  -4.09  -2.07  3.17
H  -5.99  -1.66  5.46
H  -6.65  -0.28  6.34
H  -7.75  -1.38  5.45
H  -5.05  1.27  4.27
H  -6.50  1.73  3.45
H  -6.30  1.68  5.26
H  -9.11  -0.64  0.07
H  -7.60  0.23  -0.30
H  -7.50  -1.45  0.19
H  -9.00  0.69  3.25
H  -9.72  -0.82  2.60
H  -9.81  0.73  1.66
O  -0.52  -1.96  8.66
P  -0.65  -1.12  7.48
N  -0.36  -1.96  6.02
C  0.95  -2.11  5.43
C  -1.22  -3.08  5.77
N  0.41  0.29  7.43
C  1.71  0.25  8.03
C  0.06  1.61  6.95
N  -2.26  -0.51  7.45
C  -2.96  -0.03  6.36
C  -2.90  -0.23  8.71
H  1.59  -1.24  5.32
H  0.79  -2.60  4.47
H  1.57  -2.71  6.08
H  -0.82  -3.99  6.24
H  -1.22  -3.22  4.69
H  -2.23  -2.88  6.10
H  2.40  -0.32  7.41
H  2.09  1.26  8.16
H  1.55  -0.13  9.04
H  0.31  1.73  5.89
H  -1.01  1.80  7.04
H  0.53  2.36  7.58
H  -2.68  -0.55  5.44
H  -4.04  -0.17  6.47
H  -2.76  1.04  6.26
H  -2.79  0.84  8.85
H  -2.39  -0.73  9.54
H  -3.96  -0.46  8.71
O  5.50  -4.60  -6.43
P  4.10  -4.41  -6.89
N  3.22  -3.32  -5.94
C  1.80  -3.09  -6.14
C  3.88  -2.50  -4.92